2nd Half of Quarter Flashcards
What are the three parts of the tri-laminar embryo?
Ectoderm (neuroectoderm)
- once the tri-laminar embryo folds inward this is on the outside
- surface ectoderm is skin, hair, nails, cutaneous, etc.
- Membranous Labyrinth
- Neuroectoderm: forms the brain, sensory system, these start on the outside, obviously on the inside now
- in the middle of the three layers
- skull, muscles, connective tissue, cartilage, skeleton
- bottom layer, when it all folds in this is on the inside
- epithelia, mostly the gut, lungs, middle ear, eustachian tube, what begins on the inside, stays insides
- continuos with the meatal skin, skin of the ear canal
Otic Placode
- thickening of the surface ectoderm, you see developing hindbrain, it used to be part of the ectoderm, now folded into the mesoderm
The text is interrupted by calculated crystals.
********
# Y2Si5Rh3 | the Materials Project database | r2SCAN | relaxed
# - density (g/cm3) = 6.40
# - uncorrected energy (eV per atom) = -16.72
data_Y2Si5Rh3
_chemical_formula_sum 'Y8 Si20 Rh12'
_space_group_name_H-M_alt 'C 1 2/c 1'
_space_group_IT_number 15
_cell_length_a 11.0808
_cell_length_b 11.7606
_cell_length_c 5.6672
_cell_angle_alpha 90.00
_cell_angle_beta 118.18
_cell_angle_gamma 90.00
loop_
_space_group_symop_operation_xyz
'x,y,z'
'-x,-y,-z'
'-x,y,-z+1/2'
'x,-y,z+1/2'
'x+1/2,y+1/2,z'
'-x+1/2,-y+1/2,-z'
'-x+1/2,y+1/2,-z+1/2'
'x+1/2,-y+1/2,z+1/2'
loop_
_atom_site_label
_atom_site_type_symbol
_atom_site_fract_x
_atom_site_fract_y
_atom_site_fract_z
Y1 Y 0.2326 0.1336 0.2384
Si1 Si 0.0000 0.0115 0.2500
Si2 Si 0.0000 0.2757 0.2500
Si3 Si 0.0000 0.2888 0.7500
Si4 Si 0.1610 0.3953 0.1605
Rh1 Rh 0.0000 0.4977 0.7500
Rh2 Rh 0.1012 0.1395 0.6261
********
End of the calculated crystals.
- folding in from surface ectoderm, closer to form the neural tube, this will become the central nervous systems
- tube after folding in separates from the surface, becomes a tube, head becomes a brain the part that continues down is the spinal column
- humans 22 days
Otic Pit
- otic placode becomes this
- start of the membranous labyrinth (eventually will become this)
- surrounded by mesoderm in which it is folding in to
- mesoderm is going to form the osseous labyrinth around the membranous labryrinth
-otic pit then becomes this, also inside of mesoderm, begins to elongate and form two regions
- by only 8 weeks it looks pretty adult like
- this growing is due to the proliferation of cells
- the other process that happens during development, absorption - how do you take a sphere -> the shape it is at adulthood
– folding and programmed cell death
folds into two separate divisions - utricular and saccular division.
Utricular division
further divides into the semi-circular canals, utricle, endolymphatic duct & sac
Saccular division
further divides into saccule and cochlear duct
branchial arches
- two bumps on the side of the head during development
- mandibular (1st Branchial) Arch
- hyoid (2nd) Arch
- directly between these is the 1st branchial groove
branchial groove
- where the ear canal forms
- meatal plug - thickening of ectoderm, inside the branchial groove, eventually eroded
auricular hillocks
- bumps on the 1st and 2nd arches, this forms into the pinna
- surface of the developing embryo is ectoderm, what gives the auricle its structure is the cartilage underneath (mesoderm), this is what gives the pinna its stricter plus the skin on top that conforms to it
Membranous labyrinth is surrounded by…
- mesoderm, this part is going to eventually become the osseous labyrinth
- stria vascularis is in the process of development and the region that is goin to become the organ of corti
Inner ridge
- closer to the modiolas, greater epithelial ridge
- develops into:
- spiral limbus
- inner sulcus
- inner hair cells
- inner pillar cells
Outer ridge
- lesser epithelial ridge, this is closer to the developing stria vascularis
- tectoral membrane is going to form on top of these
- outer pillar cells
- dieters’ cells
- hensen cells
- outer hair cells